Author's Note: I think I took a pretty long time updating… or did I? Thanks to everyone who reviewed! Hahaha, update just for you!

Disclaimer: Me thinks this is getting really annoying… I do not own the Teen Titans… yet.

Slade observed his young apprentice on the monitor, pounding his fists and screaming, like a toddler throwing a tantrum. The novice deserved to be punished for such pathetic behavior, but he deserted the idea. No need to make him hate being a villain more when he had just started to taste it.

Watching Robin yell at the high heavens, mumbling words and blaming himself, reminded the mastermind of himself when he just started his work as a mercenary. No one was born evil, anyway. But being hired to kill people as his job, he soon learned to harden up. People died everyday, he just took their life probably a couple of years earlier. Robin needed to understand this. It was harder for him, for he had to kill his friends, but there came a day in every villain's life where you had to sacrifice those you care for, for the greater good.

The greater good of gaining control.


"Raven! Where are you?" Cyborg called across of Titans Tower, or what was left of it. It had been precisely 20 minutes since he had been woken up by Raven screaming into the communicator, him gathering his stuff closest to him, running out of the Tower just before it fell, meeting Beast boy and Starfire, and finding out his other friend was missing.


"Friend Raven! Oh, where have you gone?" Starfire tried to choke back her tears. She had a good reason to cry. Their home was destroyed, one of her remaining friends was nowhere to be seen, and she still had no idea what was going on.


"Rae? Come on! Speak up!" Beast boy checked the crevices of the huge pile of rubble that had once been Titans Tower. He thought that Raven hollering from the communicator was her idea of a joke, but there was nothing funny about seeing falling chunks of debris from the ceiling of his room.


Raven woke up with an awful pain in her leg… and every other part of her body. She opened her eyes, but only saw light through small cracks on the… oh no! The Tower! Everything came rushing back to her… Robin… the blinking light… the Titans… the Tower… wait, the other Titans! Where are they? Are they alright?

"Rae! Where are you?" It was Cyborg's voice. Thank goodness.

"Cy! Down here!" Speaking was harder than she thought. She was under a heap of wreckage, after all.

"Rae! Hang on, we're coming!" Now it was Beast boy. A sudden flash of light made her squint, then the familiar features of a green T-rex.

(The piece is interrupted by quantum chemistry results)
********
Computed, not measured: one molecule with the formula C4H7BrO at a distorted geometry, with the ωB97M-V functional and the def2-TZVPD basis.

The calculation puts the energy above the lowest of the compared OMol25 structures with the same formula, charge and spin at 4.2641 eV. The HOMO energy (spin up / spin down) is -8.37 / -7.55 eV. As for the charge: 0. Its spin multiplicity is 1. The frontier orbital gap (spin up / spin down) is 8.89 / 7.30 eV.

Structure (XYZ):
```
13
C4H7BrO the ωB97M-V functional and the def2-TZVPD basis
H -1.673 -1.031 -0.969
C -0.947 -1.014 -0.124
H 0.708 -0.626 -1.759
C -0.332 0.327 0.159
C 0.331 0.976 -0.977
H 1.746 -0.317 1.435
C 0.643 0.115 1.504
Br 0.700 1.608 2.618
O 1.050 0.188 -1.882
H -1.558 -1.465 0.560
H -1.022 0.921 0.603
H -0.185 -1.717 -0.280
H 0.541 2.036 -0.887
```

Atom charges from the Mulliken analysis, given in e for atoms 1 to 5: 0.35, -1.80, 0.29, 0.37, -0.31


No. 1
{
  "formula": "C12H15N",
  "method": "wB97M-V/def2-TZVPD",
  "total_charge": 0,
  "smiles": "C=C=C(CN)Cc1ccc(C)cc1",
  "total_energy_ha": -520.9389,
  "de_lowest_kcal_mol": 61.8,
  "elements": ["C", "C", "C", "C", "N", "C", "C", "C", "C", "C", "C", "C", "C", "H", "H", "H", "H", "H", "H", "H", "H", "H", "H", "H", "H", "H", "H", "H"],
  "positions_angstrom": [[-4.18893, -1.74583, 0.10660], [-3.18623, -0.90790, 0.02769], [-2.25413, -0.00129, 0.05263], [-2.02098, 0.90597, -1.07893], [-2.00439, 2.34280, -0.71753], [-1.21701, 0.11508, 1.17878], [0.23194, -0.03861, 0.66572], [0.64904, -1.18073, -0.03834], [2.00839, -1.27016, -0.43180], [2.95948, -0.31383, -0.11051], [4.38921, -0.37120, -0.58951], [2.55762, 0.72344, 0.66966], [1.19703, 0.86297, 1.03477], [-4.36378, -2.60602, -0.51887], [-4.98164, -1.63975, 0.78984], [-1.05244, 0.66735, -1.52879], [-2.76399, 0.77957, -1.82421], [-2.85603, 2.62660, -0.25631], [-1.23633, 2.58036, -0.11862], [-1.44583, -0.58178, 2.00641], [-1.29582, 1.08501, 1.53485], [-0.05061, -2.01125, -0.24371], [2.34039, -2.11851, -1.00757], [5.03205, 0.15327, 0.12049], [4.56909, 0.06365, -1.59537], [4.77583, -1.40800, -0.65629], [3.26999, 1.54231, 0.93977], [0.93809, 1.74646, 1.58914]]
}

No. 2
{
  "formula": "C12H15N2O",
  "method": "wB97M-V/def2-TZVPD",
  "total_charge": 1,
  "smiles": "[O-]C(/[NH+]=C/c1ccccc1)=C1/CCC[NH2+]1",
  "total_energy_ha": -650.6690,
  "de_lowest_kcal_mol": 63.5,
  "elements": ["O", "C", "N", "C", "C", "C", "C", "C", "C", "C", "C", "C", "C", "C", "N", "H", "H", "H", "H", "H", "H", "H", "H", "H", "H", "H", "H", "H", "H", "H"],
********

"Friend Raven! You are unharmed?" Came Starfire's worried tone.

She was about to nod her head, when the pain in her leg came back. It was still under an enormous rock. It seemed to be a simpler job, for Beast boy only needed the strength of a gorilla to lift it off. A terrible shock awaited them.

Her leg was not how it used to be, that being a big understatement. It was bloodied, broken and twisted, her bone almost sticking out. It looked ghastly. Gasps went from the mouths of their teammates. Starfire instinctively tore a portion of Raven's cloak to wrap around her injured leg. While Cyborg, trying to keep calm, gently picked her up when the Tamaranian finished bandaging.

"We gotta get you to a hospital, Rae." He said, putting her on horse Beast boy's back. While Beast boy dashed towards the city, Starfire carried Cyborg as they followed their teammates.

Raven tried to keep from crying; the dreadful hurting in her leg was too much to bear. She watched the reactions of her teammates when they saw it: Beast boy looked scared, Starfire seemed like she was about to throw up but then held it back, and Cyborg appeared sympathetic and worried. But more than the appalling pain her leg, she couldn't forget the sadness Robin was causing her. It certainly looked like him, but how can that be? Robin was their leader, their friend. The things he promised, he wouldn't break them. She knew him enough to know he'd rather die than to betray his friends' trust again. But still, it was unmistakably him. Somehow, Slade must have found a way to make him turn back again. Even though they believed he was safe, that nothing would make him deceive them again, something did. He looked exactly like he did when he became Slade's apprentice: the snarl he wore on his face, the familiar attire that indicated his treachery, the mask that was raked upwards, two wicked, curled, almost claw-like extensions accenting his brow, giving him an almost predator-like stare. Except that instead of looking unwilling to fight, it was almost like he actually enjoyed what he was doing, namely, blowing up the Tower and killing them.

Her friends were hesitant and quiet, and Raven could tell they were eager to ask her what exactly was going on. But seeing her injured leg, they knew they had to wait. And she was grateful towards them for it.

They crossed the boundary of Jump City, and Raven wondered where exactly Cyborg's idea of a hospital was.

"BB, stop right over that building." Cyborg instructed.

Beast Boy turned to half-human half-horse form, so he can still carry Raven on his back and talk at the same time. "Dude, that's not the hospital!"

"No, it's not." Cyborg replied. "It's my uncle's laboratory. He's an expert on robotics, like my dad."

Starfire put him down, and he took Raven from Beast boy's back.

Raven was horrified. He can't be serious… can't he?

Cyborg seemed to have read her mind, as he shook his head sympathetically.

"I'm sorry Rae. There's no saving your leg anymore. There are only two possible solutions: amputation, and I'm sure no body wants that, or a replacement."

She nodded, unsure of what to make out of everything.

The rest of what happened was a blur to Raven. She remembered being introduced to Professor Robert Stone, her leg being treated and examined, and being somewhere that resembled a hospital operating room.

"Raven, I'm still not sure of what the results may be here, but I'll try to do whatever I can. Are you ready for any consequences?" Robert Stone asked her. He was probably in his late forties, with a shaved head except for tufts of graying hair at the sides, and solemn but gentle black eyes behind round-rimmed spectacles.

He seemed to be a kind man, Raven thought. She answered with a weak "Yes" knowing she didn't really have a choice.

"Okay, here we go." Robert injected her with an anesthetic shot.

"We'll be hoping for the best, Rae." Beast Boy said, giving her a little smile.

"We will always be present, Friend Raven, whenever you are in need of our assistance." Starfire followed, squeezing her hand.

Cyborg said something, but Raven didn't hear it anymore, as the chemical made her drowsy. It was chloroform.


"That was excellent work, Robin. Brilliantly executed." Slade said upon Robin's arrival to the lair.

"Thank you, master." Robin made a half-hearted bow.

"In fact, it's worthy of a reward. Don't you agree?"

Robin's eyes were snapped open. A reward?

"Yes, Robin. I believe a mighty warrior such as yourself deserve an equally superior name.

"Robin was the name of the undisputed hero you once were, who fought for justice and truth. It stood for the hero who protected the innocent and defended the weak. The hero who roamed to city streets on patrol for crime. But is not appropriate for the villain you have become now.

"Therefore, I shall give you a more suitable identity."

He motioned for Robin to come closer.

"Robin, once of the Teen Titans, do you solemnly swear to obey my every command, even until the death?"

He was taken aback by the unexpected question, but he answered with what Slade wanted to hear. "Yes."

"Do you swear to fight by side forever, despite all the consequences that follow, and never depart from your position?"


"Do you swear to uphold my alliance and carry it with you wherever you go?"


"Therefore, are you truly prepared to be my apprentice, Robin?"

There was a slight hesitation on Robin's part. He breathed deeply. "I am."

"Now, you need a name that suits your daunting demeanor. A name that strikes fear and anxiety to all those who hear it.

"From this day forward, I rename you Legion, whose value amounts to an army of soldiers in the battlefield. I send you forth to wreak havoc and destruction whenever I bid you to do so. I require you to be vicious, dishonorable and ruthless to all opponents. Do not displease me.

"From this day forward, you are Robin no more, but my apprentice.

"Your first order as Legion is to never let this moment pass from your memory. Because today, we have just made history.

"You are dismissed."

He got up to leave, but Slade wasn't done yet.

"One more thing, apprentice…"

Slade turned his back on him.

"From this day forward, you will refer to me as Master Deathstroke."


Raven woke up, no longer feeling pain in her lag, but numbness. She instantly what happened.

"Operation was a success, Rae." Cyborg greeted. "Uncle Robert said your leg will feel numb for awhile, as your body is not yet fully connected to the new mechanical limb."

"Friend Raven, I see you have awakened." Starfire went in the room, carrying a food tray. "I have brought you herbal tea and brownies, which I have baked myself. I have considered learning to make a most favorable pastry, in order to make you feel cheerful in your condition."

"Thank you." Raven said, gratefully taking a bite.

Gorilla Beast boy suddenly appeared carrying a huge stack of books.

"Hey Rae! I got these from the library. Your favorite authors. Okay, A Series of Unfortunate Events, The Wish List, Artemis Fowl, The Supernaturalist… and whole bunch of other books!"

"Thanks, BB." After Beast boy put the books on the table, Raven's curiosity poured out.

"Cy, where's your uncle? I wanna thank him… for, um… this."

"Resting. I don't think it occurred to you, but the operation lasted for 19 hours. At least it paid off. Wanna see?"

"Yes. Very much."

Starfire helped her sit up. Cyborg threw back the blanket that was draped over her. A small gasp came out from her mouth upon seeing her new leg.

It was the same slender shape and size, but the robotic parts were obvious. It was much like Cyborg's, only the main color were different shades of purple.

"Cy, it's… it's… remarkable. How does your family come up with this?"

"Years of studies in robotics. I was gonna be a scientist myself, but the accident made me an experiment instead."

"Oh." Raven said shortly. "It's amazing. What's it made of, anyway?" She fingered her new limb.

"Fiber-glass and steel alloy. That's why it looks pretty impressive, not to mention that it's nearly indestructible. The latest in robotics technology. This is more advanced than those in N.A.S.A. itself." Cyborg couldn't help brag, despite the current situation.

"Now, now, Victor. No use being cocky." Professor Robert Stone said amusingly from the doorway. "How are you feeling, Raven?"

"Much better. Thank you."

Robert Stone briefed her on the mechanical leg.

"A couple more days, or hours maybe, you might be able to operate on it, if you are persistent enough. It will work just like your biological one when you get used to it. I couldn't help myself, so I also installed a few gadgets. This button activates a built-in tracking device, while this switch triggers a wide variety of what we call 'a high-tech army knife.' Turning this knob will generate a laser beam hotter than the surface of the sun, and this… this is a new feature."

Stone made a keypad surface appear, and punched in a series of symbols and a rocket emerged at the soles, with a screen showing increasing numbers. Robert turned it off and faced Raven.

"That was a high speed rocket, and it is capable of going up to 27.5 miles per second. Even Victor doesn't have it in his system. But I don't think you always need to go that fast, so you can adjust the speed. The code changes every 13 minutes according to a pattern. The data you need to operate it is in a compartment at the heel. Additionally, the limb is also reattachable.

"Also, the solar batteries may be replaced by fuel-powered ones. But I suggest you use solar as long as you are in the daylight, to save the fuel.

"I think that's about everything you need…"

"How about blueprints?" Cyborg interrupted.

"Ah, yes. Always the detective I see, Victor. Well, I figured blueprints might be of use to you someday, so I made two copies, all original. One for Raven, and one for myself."

He handed Raven the sheet of paper, which she tucked inside one of the only possessions she saved: The Book of Azar.

"Thank you, professor. Thank you, all of you. For everything. So I guess I owe you enough to tell you exactly what is going on."

"I believe that I should leave you all alone now." Professor Stone exited quietly. "If you need anything, don't hesitate to approach me."

As the door closed, all eyes turned to Raven.

Author's Note: Ooooh! Is that a cliffie? Haha! I'm so evil! Was it good? Great? Or a disappointment! Let me know what you friggin' think!

Professor Robert Stone: I made him up as I know very little about the comic origins of the characters.

A Series of Unfortunate events, The Wish list, Artemis Fowl, The Supernaturalist: I adore these books. Enough said.

Haha! And with the "Raven new leg" thing… all in good time. As usual, because I hate know-it-alls, don't come 'round bombarding me with medical theories, for I have no idea what I just put in there except for the fact that the fastest rocket available in N.A.S.A. has a speed of 27.4 m/s, so I made Raven's 0.1 seconds faster. Hehe

As for renaming Robin, it was one thing I told myself I would never change from the plot, even when this fic was just a couple of chapters long. The first suggestions of his new name were 'Mayhem' or 'Havoc' but I thought that 'Legion' sounded equally superior. I also learned it was the name of some demons in hell put together, which also means 'multitude' so I stuck with it.

Anyway, enough of my ramblings…